Amaryllis - Mixed Media Collage - 8x10
As I sit here sipping the last of the eggnog and eating the remaining few cookies, I'm pausing to reflect upon what I think of as one of the best Christmases ever.
Early in October, while eating crabs with our grown kids, the subject of Christmas came up. We all agreed that it's a time of stress and pressure and it doesn't need to be. We agreed to forgo lavish gift giving and decided to limit our gifts to each other to "stocking stuffers" and just relish the time that we spend together.
And the idea worked beautifully. We spent the holiday eating, and playing games, and eating, and laughing, and eating, and playing with the new dog, Emmett, and did I mention eating?
And when it came time to open the stockings, we discovered that we didn't miss the larger gifts at all. And we weren't worried over whether or not the recipient loved our gift. Some of the gifts were useful, some were silly and others were edible (surprise!).
But for me, the highlight of the Christmas celebration came on Christmas Eve day when my boys decided they wanted to make gingerbread men.
We went out together and bought all the ingredients. I found a recipe that I had used many, many Christmases ago, and I let them loose in the kitchen.
My boys, who fought with each other all the time growing up, worked very well together on this project even when they disagreed with methods. They currently live a couple hours apart from each other and don't see each other on a regular basis so I know they enjoyed this time together. And there was laughter. So much laughter.
As the gingerbread men started to take shape there was more interest in the project by other family members and soon my daughter-in-law joined them in the kitchen to help with the decorating and Emmett came in sniffing the air. I will admit that some of the gingerbread guys (well OK most of them) became a little "R" rated and I had to do a lot of careful editing to bring you a "G" rated version of their masterpieces.
## Attached: calculated crystals
~~~
(1)
Calculated X-ray diffraction stick pattern
Compound: Ba5CdRh2
Radiation: Cu Kα
Structure: DFT lattice parameters and positions (PBE)

Peak list (6 most intense, 15 to 90 degrees two-theta, in order of rising 2θ)
24.82 deg, d 3.587, I 63
29.90 deg, d 2.988, I 100
30.64 deg, d 2.918, I 42
31.60 deg, d 2.831, I 45
33.49 deg, d 2.675, I 41
38.84 deg, d 2.318, I 31

Crystal structure
Cell lengths 9.6764, 9.6764, 9.6764 Å; angles 152.28, 130.95, 57.27 degrees
Atoms (fractional coordinates):
Ba: 0.0000 0.0000 0.0000
Ba: 0.1053 0.3443 0.7610
Ba: 0.4167 0.6557 0.7610
Ba: 0.5833 0.3443 0.2390
Ba: 0.8947 0.6557 0.2390
Cd: 0.5000 0.0000 0.5000
Rh: 0.1817 0.1817 0.0000
Rh: 0.8183 0.8183 0.0000

(2)
Calculated X-ray diffraction stick pattern
Compound: Tb6Nd5Tm
Radiation: Cu Kα
Structure: DFT lattice parameters and positions (PBE)

Peak list (6 most intense, 15 to 90 degrees two-theta, in order of rising 2θ)
30.36 deg, d 2.944, I 100
30.45 deg, d 2.936, I 33
35.23 deg, d 2.548, I 67
50.62 deg, d 1.803, I 24
50.73 deg, d 1.799, I 24
60.21 deg, d 1.537, I 43

Crystal structure
Cell lengths 6.2460, 6.2460, 11.9243 Å; angles 95.00, 95.00, 119.98 degrees
Atoms (fractional coordinates):
Tb: 0.0822 0.4146 0.2485
Tb: 0.2500 0.2500 0.7513
Tb: 0.4146 0.0822 0.2485
Tb: 0.5854 0.9178 0.7515
Tb: 0.7500 0.7500 0.2487
Tb: 0.9178 0.5854 0.7515
Nd: 0.1666 0.8334 0.5000
Nd: 0.3334 0.6666 0.0000
Nd: 0.5000 0.5000 0.5000
Nd: 0.6666 0.3334 0.0000
Nd: 0.8334 0.1666 0.5000
Tm: 0.0000 0.0000 0.0000

Repeat the first record exactly.
Calculated X-ray diffraction stick pattern
Compound: Ba5CdRh2
Radiation: Cu Kα
Structure: DFT lattice parameters and positions (PBE)

Peak list (6 most intense, 15 to 90 degrees two-theta, in order of rising 2θ)
24.82 deg, d 3.587, I 63
29.90 deg, d 2.988, I 100
30.64 deg, d 2.918, I 42
31.60 deg, d 2.831, I 45
33.49 deg, d 2.675, I 41
38.84 deg, d 2.318, I 31

Crystal structure
Cell lengths 9.6764, 9.6764, 9.6764 Å; angles 152.28, 130.95, 57.27 degrees
Atoms (fractional coordinates):
Ba: 0.0000 0.0000 0.0000
Ba: 0.1053 0.3443 0.7610
Ba: 0.4167 0.6557 0.7610
Ba: 0.5833 0.3443 0.2390
Ba: 0.8947 0.6557 0.2390
Cd: 0.5000 0.0000 0.5000
Rh: 0.1817 0.1817 0.0000
Rh: 0.8183 0.8183 0.0000

* * * * *

1.
Simulated powder diffractogram
Compound: Li4Fe3Sb5O16
Radiation: CuKα
Structure: a cell relaxed with GGA+U

abc: 6.1630 6.2078 10.3478
angles: 90.41 90.42 117.95
Fractional positions:
Li 0.0000 0.0000 0.0000
Li 0.0006 0.0109 0.5127
Li 0.3265 0.6596 0.8952
Li 0.6494 0.3172 0.4041
Fe 0.6647 0.8261 0.2232
Fe 0.8364 0.1718 0.7265
Fe 0.8396 0.6683 0.7248
Sb 0.1643 0.8236 0.2270
Sb 0.1722 0.3300 0.2269
Sb 0.3428 0.1790 0.7282
Sb 0.3672 0.6984 0.5222
Sb 0.7004 0.3495 0.9879
O 0.0140 0.0060 0.3308
O 0.0139 0.5073 0.3292
O 0.0170 0.0212 0.8211
O 0.1476 0.3080 0.6248
O 0.1847 0.8693 0.6135
O 0.2998 0.1318 0.1216
O 0.3124 0.6482 0.1182
O 0.4633 0.9540 0.3434
O 0.4755 0.4888 0.3296
O 0.5055 0.4778 0.8431
O 0.5250 0.0354 0.8360
O 0.6550 0.3158 0.6229
O 0.7023 0.8748 0.6149
~~~
## So much for the calculated crystals
OK, that one cookie at the top is not a gingerbread man but a map of the United States depicting the Trail of Tears. (Don't ask.) I have to admit that all the gingerbread, no matter what its shape or rating, was delicious.
As a parting shot, I leave you with a picture of my sons and me. It was like pulling teeth to get them to pose with me. After about a half dozen attempts and much frustration the best we could come up with was the photo below. It makes me laugh every time I look at it because it proves that it is possible to smile while gritting your teeth.
Happy New Year everyone!
I took some time out from my busy holiday schedule to put the finishing touches on this second little iris collage. This time, instead of using a Japanese lace paper in the background, I chose to use two layers of Mizutama (raindrop paper) in the foreground as the vase. I'm fascinated with Japanese lace papers. I love their delicacy, transparency and variety. I also love the challenge of finding them. Just when I think I've found a reliable supplier, they'll stop carrying my favorites and I have to scout around online for another supplier. And during the hunt I often discover new varieties of lace paper so it's always an adventure.
I do believe that I have never received so many comments on one blog post as I did on my October 2, 2009 post titled, "Spencer." This was my tribute to our chocolate Lab who had passed away the day before. There's something about a beloved dog that almost everyone relates with.
I wasn't prepared for the blue funk that I sunk into after Spencer's passing. And I realized that it had been more than 20 years since I'd been dogless. It wasn't natural. So after two months had gone by my husband and I started to explore the nearby animal shelters in hope of finding the perfect pet. On December 15th we struck gold when we visited the Humane Society of Wicomico County located in Salisbury, Maryland; which is about a one-hour drive from our home.
We were immediately impressed with the shelter and how well run it was. We were also imipressed with the staff's knowledge of each animal and their interaction with them.
We had looked at a couple of different dogs and were not sure about them. One of the staff caught onto the fact that we were particularly interested in Labrador Retrievers and she said that there was one there that we hadn't seen yet and it was a particular favorite of hers. She described him as being calm and rather laid back. So we took a look at "Russell" who was approximately 17 months old. He was a pure-bred black Lab and seemed much calmer than the other dogs we'd seen. This surprised us when we learned that he'd had two previous owners. Supposedly the only reason he'd been given up was because they simply didn't have the time for him.
My husband just loved this dog, but I had some reservations because Russell just wouldn't look us in the eye or acknowledge us in anyway. A staffer assured us that this happened a lot with "pound puppies" and that their personalities changed once they got into a new home.
So I agreed to giving him a try as long as we could call him Emmett. I have always wanted to name a dog Emmett, after my grandfather, and this was the first real opportunity. While we went through all the paperwork, Emmett laid at our feet in the lobby waiting for us to be finished. He watched everything going on in the lobby with great interest. There were people and dogs in and out as well as a couple of cats roaming free. He reacted very casually to all the activity and I was impressed with his composure.
We walked him to our car and he leaped in with great enthusiasm and calmly made the one-hour trip back home with us. When we arrived home, my husband walked him around the yard and then brought him into the house. The minute Emmett stepped into the house it was as if a light went on. Suddenly there was the most alive expression in his eyes and he gleefully ran to each one of us in turn as if thanking us before exploring his new home. At that moment I knew we'd made the right choice.
12 days later it seems as though he's always been a part of the family. Our boys came home for Christmas and immediately liked Emmett and vice versa. I'm happy to report that Emmett is extremely well behaved. He hasn't made the first "mistake" in our home and is very laid-back while inside but full of energy when he's running free in our fenced yard. And he loves long walks, too.
This is Emmett at the Wash-N-Wag, which is a nearby self-wash dog wash. We hadn't even had him 24 hours when I took him there (he smelled from the shelter) and he was terrified, but it turned into a great bonding experience.
Here he is back at home with his complimentary Christmas bandana from the Wash-N-Wag.
And here he is with his "daddy" holding him so you can see his pretty brown eyes.
It was a very Merry Christmas for us!
The Blizzard of 2009 only left about 4 inches of snow in southern Delaware, but it also gave me this beautiful view of snow on the dunes at sunset. That's the Harbor of Refuge lighthouse in the background.
I just love it when a piece seems to "paint itself," and you artists out there know what I mean. It's a piece that comes together with almost no effort and turns out as well or even better than you imagined it.
I've used irises as a subject matter many times before, but never created any as small as these. I used a piece of scrapbooking paper that I found at Michaels as my background. I frequently make "keepsake" collages using wedding invitations as the subject and then trying to match the bride's colors in the collage and I have found that scrapbooking papers to be excellent in these projects. So I have lots of scraps of this lying around.
Over the background paper I layered a delicate piece of Uminami, which is a Japanese lace paper in the shape of arches. You can just barely make out the fine little arch-shaped fibers.
The leaves and stems are from a gold marbled paper called "Forest" by Black Ink. Almost all of my favorite art papers are made by Black Ink and I particularly love their marbled collection.
The iris blossoms are from origami paper. I chose this paper for its color, but was delighted to see that the finished look resembles cloisonne. I was also delighted that I was able to cut all the pieces using scissors. I had expected to have to use an exacto knife and was relieved that that wasn't the case. All my life I've been a klutz with knives and I have the scars and one damaged finger to prove it!
Oh, wait, the dragonfly! I certainly didn't cut that out with scissors! That was punched from gold metallic crinkle paper... another favorite of mine.
Lastly I added my own personal embellishments with Sharpie markers, gold acrylic wash and gold fabric paint.
I find that I like the delicate, almost Asian look, of the piece. I also like the way it makes me think of spring. I sound pretty pleased with myself, don't I? Every once in a great while artists make something that truly makes themselves happy.
Last Wednesday I enjoyed a rare treat when I visited the Chrysler Museum of Art in Norfolk, Virginia. I had only recently heard of this museum and was surprised to find a very pleasing collection of artwork. Evidently few others have heard of this place because, as you can see from the following photos, I nearly had the place to myself. It reminded me of mid-week afternoons when I was a young woman in my 20's working in D.C. and I'd sneak away during lunch to visit the National Gallery of Art and have it all to myself. Those days are certainly long gone; these days there's always a crowd at the NGA, but I was able to get that same feeling back last week at the Chrysler.
The museum was founded by Walter P. Chrysler, Jr., who lived from 1909 to 1988. He was the son of the founder of the Chrysler Corporation and collected art nearly throughout his entire life. The exhibits ranged from artifacts from ancient cultures as well as paintings and statuary from every era. However; the Chrysler is best known for its collection of glassware with pieces dating from the Byzantine era all the way to current glass sculpture. It's a phenomenally beautiful collection.
The statue pictured above is Anna Hyatt Huntington's The Torch Bearers and it graces the circular drive at the front of the museum.
I got the red carpet treatment the day I visited.
The spacious main lobby which can be rented for events.
Pandora, by American sculptor, Chauncey Bradley Ives, lives at the bottom of the circular stairs at the end of the children's gallery.
This is the American Sculpture gallery. As you can see, I had the room to myself.
This is Puck by Harriet Goodhue Hosmer. I love that he has a bug in the palm of his hand.
This piece of cameo glass is called Dragon Bowl and was created by the English glass designers, Thomas Webb & Sons in the 1800's.
Unfortunately, I screwed up and forgot to get the name and creator of this lovely piece also located in the Cameo Glass gallery.
I was tickled to find this room of impressionist painters. You can probably make out the Degas and the Cassatt among others in this photo.
On this wall is a Childe Hassam and what at first appeared to me to be a portrait by John Singer Sargent. Upon closer inspection I discovered that it was painted by Emile Auguste Carolus-Duran who was Sargent's teacher. Go figure.
This image and artist were completely new to me. It's called The Bath and was painted in 1868 by Swiss artist, Marc-Gabriel-Charles Gleyre. I think it was my favorite painting of the day. Because you are not permitted to use a flash and the lighting was low in the gallery, I was unable to get a good photo, so I cheated and used a photo from the museum's website.
This is a view of the lobby ceiling taken from an overlook on the second floor.
And this was taken in the vast glass galleries.
I spent 3 hours in the museum (a half hour of that was spent eating lunch and resting my feet in their beautiful cafe) and was unable to get to all the exhibits. Admission to the museum is free (it's closed on Mondays & Tuesdays), but there is a charge to their special exhibits. There was an exhibit of Egyptian Art with an admission charge of $7.00 which I chose to forgo in favor of the permanent exhibit which kept me very busy. The beautiful gift shop is also a "must see". So keep the Chrysler Art Museum in mind if you get to Norfolk; it's well worth the visit.
This week I had the opportunity to take a little break and tag along with my husband while he traveled to Virginia Beach for work. As I was driving along Pacific Avenue, I noticed this wonderful statue of King Neptune almost appearing to rise from the sea and I just had to stop and take a picture of him. As you can see, the day was cloudy and wind tossed which I thought made a perfect setting for Neptune, but the air was unusually warm for December; in the 70's, so it was a pleasure to be out and about. After I took my photo, I walked back through a line of evergreens that was edging the parking lot where I left my car and my right foot got caught on one of the tree branches which was right at ankle height and refused to give. So, down I went on all fours! The actual physical pain I endured was not nearly as excruciating as the pain to my bruised ego. I was just glad that I had put my camera back in my bag before walking back to the car; it never would have survived the fall.
That evening, my friend, Mary Beth, took me to dinner to celebrate my birthday, which was this past Sunday, and we drove back to the boardwalk to look at the Christmas lights. I had no idea that there was such a grand display or I would have brought my tripod on this trip. The following photos are slightly blurred, but I think you get the idea of what some of the light displays looked like. There were many more displays than what I've pictured here. These things were larger than life and extended for quite some distance along the boardwalk. Seeing them was a thrill!

This is the last of the current "brown" series, but it has a lot more color than the previous ones. This experiment in monochromism (yes, I made that up) has given me an idea for a series of larger collages that I need to create for an upcoming show, so stay tuned!
I had intended this piece to be monochromatic but found that it just wasn't working for me until I added the bright orange leaves. And there's no particular symbolism in the numbers. I was just tearing up pages from an antique French poetry book (the paper is of incredible quality!) and the lines of the poems were numbered. The bits of English words are obviously from some other text. When I first started using pages from books in my collages, I had a real problem with ripping up the pages. There's something about books that seems almost sacred to me. I soon discovered; however, that you do it once and it becomes easy!
Yes, I really got into brown the last couple of weeks!
Something about this reminds me of an excellently appointed library with its grand globe, atlases and leather-bound books.
My husband, let's call him Bob, has some completely adorable habits; at least, I keep telling myself they are adorable. He's a larger than life kind of person and everything he does, he does with gusto. He's passionate about so many things and could never narrow his interests to just one hobby. And when he takes up a hobby, he does it in a big way. He scurries to obtain every piece of literature ever written about the new activity, subscribes to all the appropriate magazines and acquires all the pertinent catalogs. Next he procures all the necessary equipment and "costumes" that are associated with these activities.
Hunting is one of the earlier interests that he took up and thanks to Cabela's, he owns camo costumes in patterns designed for every season and every region. In our old house his camo collection consumed an entire closet. Also, thanks to Cabela's, he owns a very impressive spread of life size goose decoys. These were items that he managed to obtain very quietly and over a long period of time and he managed to spread them throughout several different storage areas so I never fully appreciated the size of this gaggle.
When we moved to our new house a year ago, a small portion of the flock came with us, but the bulk of it remained in a storage unit that we'd rented in Pennsylvania. Just recently we decided that it was time to consolidate all the "stuff" that was spread amongst three different storage units and we towed our enclosed trailer to PA to round up the birds. That's when I really had my eyes opened! We spent the entire weekend shuttling goose decoys around with the ultimate goal of storing them all in the enclosed trailer and I was beginning to think they wouldn't all fit. Finally I came right out and asked Bob just how many decoys he owned. In an almost inaudible voice he meekly answered, "200." I almost couldn't speak, which was just as well.
We finally managed to incarcerate the gaggle within the confines of the trailer and get the door shut and then we parked the trailer in yet another storage yard and came back home. When we returned to the house I discovered, to my horror, two decoys who'd managed to escape their prison sentence. So, as you can see, they've been pressed into service for the holidays.